### Given
+++
# LaHo5Au6
Simulated X-ray powder pattern, Cu Kα, 1.54184 Å. Input: a structure optimized by DFT (GGA-PBE).
Neutral-atom scattering factors, no anomalous dispersion.

Atomic structure:
Cell: 5.1172 7.1974 8.1369 Å, 90.00 108.17 90.00°
Sites, in units of the cell vectors:
La (0.0000, 0.0000, 0.0000)
Ho (0.0000, 0.5000, 0.0000)
Ho (0.3308, 0.0000, 0.6630)
Ho (0.3340, 0.5000, 0.6696)
Ho (0.6660, 0.5000, 0.3304)
Ho (0.6692, 0.0000, 0.3370)
Au (0.1744, 0.2559, 0.3462)
Au (0.1744, 0.7441, 0.3462)
Au (0.5000, 0.2670, 0.0000)
Au (0.5000, 0.7330, 0.0000)
Au (0.8256, 0.2559, 0.6538)
Au (0.8256, 0.7441, 0.6538)

Principal peaks in the range 10° ≤ 2θ ≤ 90°, low angle first:
Position (°2θ)  intensity
34.81  202
35.10  1000
50.17  72
50.32  72
50.74  69
62.60  144
62.94  149
63.01  71
63.17  72
74.13  68

***

# La2Ho3Au4
Simulated X-ray powder pattern, Cu Kα, 1.54184 Å. Input: a structure optimized by DFT (GGA-PBE).
Neutral-atom scattering factors, no anomalous dispersion.

Atomic structure:
Cell: 7.8404 7.6621 8.5245 Å, 90.00 110.83 90.00°
Sites, in units of the cell vectors:
La (0.1922, 0.1707, 0.0909)
La (0.1922, 0.3293, 0.5909)
La (0.8078, 0.6707, 0.4091)
La (0.8078, 0.8293, 0.9091)
Ho (0.2457, 0.6508, 0.2512)
Ho (0.2457, 0.8492, 0.7512)
Ho (0.5000, 0.0000, 0.5000)
Ho (0.5000, 0.5000, 0.0000)
Ho (0.7543, 0.1508, 0.2488)
Ho (0.7543, 0.3492, 0.7488)
Au (0.0982, 0.5487, 0.8792)
Au (0.0982, 0.9513, 0.3792)
Au (0.4842, 0.6346, 0.6252)
Au (0.4842, 0.8654, 0.1252)
Au (0.5158, 0.1346, 0.8748)
Au (0.5158, 0.3654, 0.3748)
Au (0.9018, 0.0487, 0.6208)
Au (0.9018, 0.4513, 0.1208)

Principal peaks in the range 10° ≤ 2θ ≤ 90°, low angle first:
Position (°2θ)  intensity
29.05  308
30.27  218
31.38  672
31.69  227
32.79  1000
33.64  887
36.79  275
36.96  410
41.39  208
49.10  258

***

# Li8HoAu6
Simulated X-ray powder pattern, Cu Kα, 1.54184 Å. Input: a structure optimized by DFT (GGA-PBE).
Neutral-atom scattering factors, no anomalous dispersion.

Atomic structure:
Cell: 7.0467 7.0467 7.0467 Å, 69.12 69.12 69.12°
Sites, in units of the cell vectors:
Li (0.0197, 0.3983, 0.7171)
Li (0.1594, 0.1594, 0.1594)
Li (0.2829, 0.9803, 0.6017)
Li (0.3983, 0.7171, 0.0197)
Li (0.6017, 0.2829, 0.9803)
Li (0.7171, 0.0197, 0.3983)
Li (0.8406, 0.8406, 0.8406)
Li (0.9803, 0.6017, 0.2829)
Ho (0.5000, 0.5000, 0.5000)
Au (0.1065, 0.7947, 0.4557)
Au (0.2053, 0.5443, 0.8935)
Au (0.4557, 0.1065, 0.7947)
Au (0.5443, 0.8935, 0.2053)
Au (0.7947, 0.4557, 0.1065)
Au (0.8935, 0.2053, 0.5443)

Principal peaks in the range 10° ≤ 2θ ≤ 90°, low angle first:
Position (°2θ)  intensity
16.65  687
22.24  250
27.91  1000
39.03  610
40.72  659
42.70  393
48.66  219
57.67  233
64.06  188
71.84  238

***

# Li2HoAu3
Simulated X-ray powder pattern, Cu Kα, 1.54184 Å. Input: a structure optimized by DFT (GGA-PBE).
Neutral-atom scattering factors, no anomalous dispersion.

Atomic structure:
Cell: 4.5496 4.5496 12.4687 Å, 90.00 90.00 120.00°
Sites, in units of the cell vectors:
Li (0.0000, 0.0000, 0.0000)
Li (0.0000, 0.0000, 0.5000)
Li (0.3333, 0.6667, 0.1429)
Li (0.6667, 0.3333, 0.8571)
Ho (0.3333, 0.6667, 0.6800)
Ho (0.6667, 0.3333, 0.3200)
Au (0.0000, 0.0000, 0.2089)
Au (0.0000, 0.0000, 0.7911)
Au (0.3333, 0.6667, 0.4383)
Au (0.3333, 0.6667, 0.9229)
Au (0.6667, 0.3333, 0.0771)
Au (0.6667, 0.3333, 0.5617)

Principal peaks in the range 10° ≤ 2θ ≤ 90°, low angle first:
Position (°2θ)  intensity
23.68  334
26.77  729
31.28  221
36.76  1000
39.62  970
42.92  272
55.15  315
64.30  173
70.02  311
73.68  185

***

# LiHo2Au3
Simulated X-ray powder pattern, Cu Kα, 1.54184 Å. Input: a structure optimized by DFT (GGA-PBE).
Neutral-atom scattering factors, no anomalous dispersion.

Atomic structure:
Cell: 4.9616 4.9616 11.9301 Å, 90.00 90.00 120.00°
Sites, in units of the cell vectors:
Li (0.3333, 0.6667, 0.1691)
Li (0.6667, 0.3333, 0.8309)
Ho (0.0000, 0.0000, 0.0000)
Ho (0.0000, 0.0000, 0.5000)
Ho (0.3333, 0.6667, 0.6846)
Ho (0.6667, 0.3333, 0.3154)
Au (0.0000, 0.0000, 0.2501)
Au (0.0000, 0.0000, 0.7499)
+++

### To do
Duplicate every line earlier on that contains the word "La".

### Worked solution
La (0.0000, 0.0000, 0.0000)
La (0.1922, 0.1707, 0.0909)
La (0.1922, 0.3293, 0.5909)
La (0.8078, 0.6707, 0.4091)
La (0.8078, 0.8293, 0.9091)